In the first of a two-part event planning series, guest writer and event pro, Kalsey Beach, brings MHQ readers some insight on how to plan association events for success!
Set Goals
The most important step in planning an event is often missed – setting goals. Before you sign contracts, select decor and invite guests, make sure all the key players agree on what will make the event successful. Here’s how:
- Write an event objective. This is a brief summary of what the event will accomplish. For example: raise awareness, cultivate community, honor a person or group, show appreciation, etc.
- Set measurable goals. Make sure your goal can be measured and it is clear whether or not it was reached. For example: Dollars raised, new contacts in database, tickets sold, new Facebook followers, etc.
- Recap. As soon as you begin planning your event, schedule a debrief. It is important to validate the success of the goals and places to improve at future events. This step is often forgotten if not planned for.
Determine Big Picture Logistics
Before the details can fall into place, consider the “big picture” logistics and ensure these aspects are accounted for:
- Define the event budget. Consider the event from a total cost and per person perspective. Will the event generate any income? What expenses will you have? Frequently people forget about printing, parking, or gratuity. Make a detailed line item budget and don’t forget the “Miscellaneous” category. Be realistic with your numbers.
- Select a venue. With the budget solidified you can select your venue. Some questions to consider: Where are my guests geographically? What time of day will they be driving to the location? What activities will occur, such as speeches, sit-down dinner, dancing, etc.?
- Select a date. Be certain to confirm with key hosts and attendees that the date will work for them. Double check association and industry calendars to ensure your date does not conflict with another large event in your city or industry.
# 1
Density functional theory data (PBE) for K2Na2Nd2MgNb2O10 after structural relaxation.

Unit cell a=5.9521 b=5.9536 c=8.7230 alpha=89.90 beta=89.67 gamma=86.70
Fractional positions:
1 K 0.0000 0.0000 0.0000
2 K 0.3855 0.3884 0.9935
3 Na 0.4629 0.9304 0.3052
4 Na 0.9953 0.3915 0.7616
5 Nd 0.5358 0.4126 0.5262
6 Nd 0.9777 0.8548 0.5267
7 Mg 0.7415 0.6395 0.1334
8 Nb 0.0422 0.3504 0.3293
9 Nb 0.5018 0.8857 0.7805
10 O 0.2394 0.1516 0.4532
11 O 0.2393 0.6014 0.3677
12 O 0.2686 0.1152 0.7902
13 O 0.2874 0.6744 0.6981
14 O 0.5567 0.8299 0.9980
15 O 0.7118 0.1023 0.6981
16 O 0.7353 0.6536 0.6875
17 O 0.7515 0.6401 0.3509
18 O 0.7908 0.1519 0.3678
19 O 0.9702 0.4189 0.0902

## Properties
The total energy comes out at -6.836 eV/atom. For the magnetic moment, the calculation gives 0.00 μB per formula unit. The energy above the lowest structure with this stoichiometry is 0.0 meV/atom.

# 2
Density functional theory data (PBE) for PdCl2 after structural relaxation.

Unit cell a=6.2586 b=9.4733 c=10.7163 alpha=80.77 beta=85.43 gamma=78.45
Fractional positions:
1 Pd 0.0622 0.3212 0.1971
2 Pd 0.1662 0.3709 0.7097
3 Pd 0.4065 0.1433 0.9894
4 Pd 0.5935 0.8567 0.0106
5 Pd 0.8338 0.6291 0.2903
6 Pd 0.9378 0.6788 0.8029
7 Cl 0.0095 0.2317 0.0144
8 Cl 0.1063 0.0133 0.5598
9 Cl 0.1264 0.4416 0.3605
10 Cl 0.2952 0.5539 0.7896
11 Cl 0.4018 0.1672 0.2037
12 Cl 0.4465 0.1811 0.7711
13 Cl 0.5535 0.8189 0.2289
14 Cl 0.5982 0.8328 0.7963
15 Cl 0.7048 0.4461 0.2104
16 Cl 0.8736 0.5584 0.6395
17 Cl 0.8937 0.9867 0.4402
18 Cl 0.9905 0.7683 0.9856

## Properties
The total energy comes out at -3.157 eV/atom. For the magnetic moment, the calculation gives 0.00 μB per formula unit.

# 3
Density functional theory data (PBE) for K2RbMoBr6 after structural relaxation.

Unit cell a=8.2438 b=8.2438 c=8.2438 alpha=60.00 beta=60.00 gamma=60.00
Fractional positions:
1 K 0.2500 0.2500 0.2500
2 K 0.7500 0.7500 0.7500
3 Rb 0.0000 0.0000 0.0000
4 Mo 0.5000 0.5000 0.5000
5 Br 0.2766 0.2766 0.7234
6 Br 0.2766 0.7234 0.2766
7 Br 0.2766 0.7234 0.7234
8 Br 0.7234 0.2766 0.2766
9 Br 0.7234 0.2766 0.7234
10 Br 0.7234 0.7234 0.2766

## Properties
The total energy comes out at -3.585 eV/atom. For the magnetic moment, the calculation gives 3.00 μB per formula unit.

# 4
Density functional theory data (PBE) for SrCaEuBiO6 after structural relaxation.

Unit cell a=6.1141 b=6.1141 c=6.1141 alpha=60.00 beta=60.00 gamma=60.00
Fractional positions:
1 Sr 0.0000 0.0000 0.0000
2 Ca 0.5000 0.5000 0.5000
3 Eu 0.2500 0.2500 0.2500
4 Bi 0.7500 0.7500 0.7500
5 O 0.5072 0.5072 0.9928
6 O 0.5072 0.9928 0.5072
7 O 0.5072 0.9928 0.9928
8 O 0.9928 0.5072 0.5072
9 O 0.9928 0.5072 0.9928
10 O 0.9928 0.9928 0.5072

## Properties
The total energy comes out at -6.773 eV/atom. For the magnetic moment, the calculation gives 6.00 μB per formula unit. The energy above the lowest structure with this stoichiometry is 116.6 meV/atom.

# 5
Density functional theory data (PBE) for TlSbCl6 after structural relaxation.
**Here the entry continues:**
Another key component to a successful event is an effective promotion strategy. Follow these steps to ensure your desired attendance:
- Give guests enough notice. Guests should first learn about the event at least six weeks before it occurs via a paper or virtual invite. Reminders can be sent once a week until the day of the event.
- Use a variety of promotion avenues. In addition to your invite, promote the event on social media, post to local calendars, hang flyers, submit a press release and encourage attendees to bring guests.
- Engage ambassadors. Consider the key hosts of the events and equip them with tools to promote. Encourage hosts to
schedule time to call important guests and provide them with materials to post on their social media channels.
Kalsey Beach is president of Do Good Events (, a Twin Cities boutique event planning company specializing in event planning for businesses and non-profits.